(Updated on Monday 02-24-2014, at 1:39 pm)
By @johnmanuelsilva and @emiduarte
Translate by @Suanex
1) Juan Crisóstomo Montoya González known as “Juancho”, 51 years old. He was a member of the “Colectivo Carapaica” and He was a part in It’s pacification. He was shot in his face on the February 12 of 2014, after a concentration that arrived to the building of the General prosecution of the Venezuelan Republic, in the University Avenue (Caracas) was ended. He passed away in La Arboleda Clinic, San Bernardino.
2) Bassil Alejandro Dacosta Frías, 24 yearsold. First It was reported that He was a student from the University Alejandro Humboldt, but He really was a carpenter of profession. He passed away from a gunshot in the head February 12 of 2014, after the concentration that arrived to the building of the General prosecution of the Venezuelan Republic, in the University Avenue (Caracas).
3) Roberto Readman, 31 years old, He was a professional pilot. He was shot on the head in the Francisco de Miranda Avenue, Altamira, in late afternoon on the February 12 of 2014. He was killed in the protests that follow the events in the in the University Avenue (Caracas) around the township of Chacao.
4) Génesis Carmona, she was a model and Miss Turismo Carabobo. She was a student of Marketing in the Technologic University of the Center (Unitec). She passed away after been gunshot in her head on the Dr. Rafael Guerra Méndez Clinic. She was one of the wounded in the protests in Valencia city, Carabobo State, February 19 of 2014.
5) Arturo Alexis Martínez, 59 años, miembro del PSUV (Partido Socialista Unido de Venezuela), el partido de gobierno. Recibió un disparo en el pecho delante de la Universidad Fermín Toro, en el este de Barquisimeto, estado Lara, el 20 de febrero de 2014. De acuerdo con las declaraciones del Presidente Era un obrero que supuestamente estaba limpiando la basura que fue dejado por los manifestantes del día anterior de que el tránsito de bloque.
6) José Méndez, 17 years old, naval engineering student. He was ran over during a protest in Carupano, Sucre State. Where He was protesting in Perimetral of Carupano Avenue, He and other protesters blocked the ways so no one could go through.
Link: http://www.el-nacional.com/sucesos/Atropellan-manifestantes-Carupano_0_357564506.html
7) Delia Elena Lobo, 40 years old. According to the Merida State’s governor’s testimony on the February 20 th of 2014, Alexis Ramirez, there was a lady named Delia Elena Lobo of 40 years old who passed away after being attacked in one of the barricades. His testimony was this “Unfortunately as a consequence of the barricades that the fascist opposition has been doing, this lady lost her life in a wire fence that they had. This is a situation that We are denouncing”, this couldn’t be corroborated because there’s no investigation or news in any media but the governor’s words.
8) Unknown person in Puerto Ordaz. Just like the last reported, the Minister for Interior Justice and Peace, Miguel Rodriguez Torres reported in the February 19 th that a person had died in Puerto Ordaz, Bolivar State. Theirs is not any investigation journalistic or forensic that corroborated this fact. Here is the testimony of the Minister.
9) About Alejandro Márquez, 43 years old. Professional engineering, He was in La Candelaria, being part of the protests of the February 19 of 2014. It’ been reported that the National Bolivarian Guard (GNB) threaten Alejandro Marquez because he was recording the protests in his cellphone. The Guard shot but not they did not hit Alejandro, as He ran, fell and hit his head on the sidewalk. While He remained in the floor his neighbors told that the GNB hit him several times and them took him to the Vargas Hospital, where He was treated for brutal assault and them he came into a coma. His dead was announced February Friday 21 of 2014, in late night hours, according to El Universal.
Links: Note by El Universal: http://www.eluniversal.com/nacional-y-politica/protestas-en-venezuela/140221/fallecio-ingeniero-golpeado-en-manifestaciones-de-la-candelaria
Update, 21 February Friday of 2014, 12:15 am.
After, ONG Provea, specialized on the Humans Rights defense, refute this allegations by quoting his sister as a source. She through his Twitter account said that there was a possibility for his recovery even though he was still into a coma.
Update, 23 February Sunday, 7:25 pm.
Through his Twitter account, Alejandro’s sister confirmed that at 7:15 pm of the 23 February Sunday, her brother finally passed away.
10) Elvis Rafael Durán de La Rosa, 29 yearsold. He passed away after lose his head on the 21 February Friday, in night hours when He was on his motorbike traveling through the Romulo Gallegos Avenue, Horinzonte, Sucre township (Caracas). According to the report the young man was moving on his motorbike and when He passed through a barricade suffer an injure on his neck because a steel cable that hang from side to side of the road. The Sucre Mayor rejected this fact on his Twitter account.
11) Geraldine Moreno, 23 years old, Cytotechnology student. This 22 February Saturday of 2014 Geraldine passed away in the North Metropolitan hospital, where She enter with cerebral contusions and the loss of her left eye (With her right eye compromised). The victim was shot with lead on her face by GNB Guardia NacionalBolivariana (National Bolivarian Guard) while She was hiding during the protests of last 19 February Wednesday of 2014 in Naguanagua, Carabobo State. During three days the young woman was in the ICU until this Saturday at 12:45 of noon, when the doctors told the family of her demise. Her mother denounce that the GNB shot at Geraldine while she was on the floor.
Before her death, when Geraldine was recruited in the Hospital her aunt Ana Maria Aular reported the GNB acts and accused them of shooting her twice while she was on the floor.
Video: http://www.youtube.com/watch?v=WvZrWO2t2qM
12) Jimmy Vargas, 34 years old. Passed away after falling from the Mezzanina of one of the buildings where He remained guarded of the shooting of lead and teargas by the GNB to the principal Avenue from Pueblo Nuevo, Tachira State. There’s two sides of the story some people relate that the GNB shot lead and/or teargas to his face and that make him fall. The other side of the story says it was an accident fall “I don’t needs your sympathies for my son, just gain more streght to keep on fighting… This is a great grief” said his mother
Link: http://www.el-nacional.com/sucesos/Muere-edificio-impacto-lacrimogena-Tachira_0_361763886.html
Data records, kept here for reference:
~~~
# MgV4Cu3O14, optimized geometry, DFT PBE with a Hubbard U
# Energy in eV/atom: -6.71
# Calculated formation energy in eV per atom: -2.028
data_MgV4Cu3O14
_cell_length_a 5.634
_cell_length_b 5.689
_cell_length_c 10.265
_cell_angle_alpha 104.01
_cell_angle_beta 103.42
_cell_angle_gamma 92.21
_space_group_name_H-M_alt 'P 1'
_space_group_IT_number 1
_space_group_name_Hall 'P 1'
loop_
_atom_site_label
_atom_site_fract_x
_atom_site_fract_y
_atom_site_fract_z
Mg1 0.000 0.000 0.000
V1 0.040 0.735 0.266
V2 0.139 0.735 0.690
V3 0.582 0.287 0.190
V4 0.587 0.191 0.764
Cu1 0.204 0.503 0.963
Cu2 0.357 0.361 0.465
Cu3 0.825 0.115 0.491
O1 0.050 0.023 0.373
O2 0.067 0.722 0.848
O3 0.114 0.748 0.110
O4 0.127 0.448 0.580
O5 0.236 0.568 0.348
O6 0.288 0.266 0.078
O7 0.418 0.388 0.847
O8 0.445 0.884 0.730
O9 0.577 0.221 0.349
O10 0.599 0.252 0.602
O11 0.730 0.588 0.226
O12 0.746 0.087 0.109
O13 0.873 0.211 0.870
O14 0.942 0.903 0.608

---

# CoSeClO6, optimized geometry, DFT PBE with a Hubbard U
# Energy in eV/atom: -4.33
# Calculated formation energy in eV per atom: -0.286
data_CoSeClO6
_cell_length_a 6.765
_cell_length_b 7.067
_cell_length_c 7.494
_cell_angle_alpha 63.92
_cell_angle_beta 67.05
_cell_angle_gamma 70.45
_space_group_name_H-M_alt 'P -1'
_space_group_IT_number 2
_space_group_name_Hall '-P 1'
loop_
_atom_site_label
_atom_site_fract_x
_atom_site_fract_y
_atom_site_fract_z
Co1 0.000 0.000 0.000
Co2 0.500 0.500 0.500
Se1 0.213 0.203 0.513
Cl1 0.129 0.644 0.116
O1 0.119 0.988 0.727
O2 0.224 0.612 0.601
O3 0.240 0.046 0.993
O4 0.328 0.097 0.328
O5 0.426 0.222 0.584
O6 0.488 0.441 0.758

---

# MgFe2Ag2O4, optimized geometry, DFT PBE with a Hubbard U
# Energy in eV/atom: -5.38
# Polymorph energy (0 for the lowest one) in meV per atom: 0
# Calculated formation energy in eV per atom: -1.294
data_MgFe2Ag2O4
_cell_length_a 5.360
_cell_length_b 3.132
_cell_length_c 14.329
_cell_angle_alpha 90.00
_cell_angle_beta 94.95
_cell_angle_gamma 90.00
_space_group_name_H-M_alt 'C 1 m 1'
_space_group_IT_number 8
_space_group_name_Hall 'C -2y'
loop_
_atom_site_label
_atom_site_fract_x
_atom_site_fract_y
_atom_site_fract_z
Mg1 0.000 0.000 0.000
Fe1 0.207 0.000 0.394
Fe2 0.288 0.000 0.823
Ag1 0.419 0.500 0.613
Ag2 0.429 0.000 0.169
O1 0.025 0.500 0.323
O2 0.150 0.500 0.937
O3 0.389 0.500 0.466
O4 0.441 0.500 0.762

---

# SrNdVO4, optimized geometry, DFT PBE with a Hubbard U
# Energy in eV/atom: -7.58
# Calculated formation energy in eV per atom: -3.163
data_SrNdVO4
_cell_length_a 3.910
_cell_length_b 3.910
_cell_length_c 12.628
_cell_angle_alpha 90.00
_cell_angle_beta 90.00
_cell_angle_gamma 90.00
_space_group_name_H-M_alt 'I 4 m m'
_space_group_IT_number 107
_space_group_name_Hall 'I 4 -2'
loop_
_atom_site_label
_atom_site_fract_x
_atom_site_fract_y
_atom_site_fract_z
Sr1 0.000 0.000 0.000
Nd1 0.000 0.000 0.712
V1 0.000 0.000 0.357
O1 0.000 0.000 0.188
O2 0.000 0.000 0.530
O3 0.000 0.500 0.345

~~~~~

# 1
Compound: Cr3BO6
Source: the Materials Project database
~~~
The piece goes on:
Update: 25-02-2014, 1:45
This CNN video apparently showing the time of death of Jimmy Vargas
13) Wilmer «Jhonny» Carballo, a greengrocer, age unknown. He was shot on the head in the city of Cagua, township Sucre, Aragua State. According to the testimony of Ricardo Sanchez, a neighbor, duplicated in several media “Carballo ran to guard from the bullets but still he received a gunshot in the head” We still have no date about the deceased age.